To do.
Please search the lines underneath for the word "DFT" and echo each line that has it.

File.
-- begin --
The following is a DFT calculation (PBE-GGA) of a relaxed structure of Na5In2SiSn2P5O24.

Properties
magnetic moment: 0.0 Bohr magnetons per cell
formation energy from the elements: -2532 meV per atom

The structure in extended XYZ format:
```
117
Lattice="9.007 0.000 0.000 -4.502 7.826 0.000 -0.065 -0.040 22.556" Properties=species:S:1:pos:R:3 pbc="T T T"
Na 0.000 0.000 0.000
Na -1.606 2.712 16.775
Na -0.060 0.093 11.172
Na -2.927 5.317 20.571
Na 1.211 2.439 20.631
Na -0.218 5.082 7.412
Na 1.660 2.278 12.973
Na 0.037 5.217 18.600
Na 1.672 2.845 5.504
Na 1.238 7.653 5.491
Na 4.426 2.338 14.940
Na 2.856 5.300 9.202
Na 1.689 7.601 20.693
Na 4.598 2.746 3.567
Na 5.686 5.112 13.086
In 0.009 5.122 4.078
In 0.011 5.174 15.373
In 4.492 2.445 11.526
In 4.563 2.501 0.415
In 4.461 7.725 14.594
In 4.467 7.711 19.009
Si 1.773 2.507 9.353
Si 3.251 5.426 5.584
Si 7.150 2.510 20.589
Sn -4.467 7.748 7.875
Sn -0.052 5.086 22.190
Sn 0.001 5.142 10.734
Sn 4.467 2.538 18.314
Sn 4.524 2.562 7.058
Sn 4.526 7.710 3.216
P -2.674 5.201 1.789
P -1.332 2.820 13.108
P -1.864 7.772 5.580
P 1.389 2.263 16.825
P 1.360 2.749 1.863
P -1.342 7.426 13.074
P 3.180 0.192 20.614
P 2.666 5.146 13.006
P 1.411 7.466 1.860
P 3.121 4.779 20.644
P 5.845 0.189 9.263
P 1.740 7.764 16.936
P 5.866 4.845 9.355
P 7.677 2.166 5.558
P 5.817 5.328 16.838
O -0.800 1.258 20.470
O -3.532 6.071 18.150
O -0.621 1.442 13.122
O -0.644 1.533 6.793
O -3.492 6.535 1.810
O -1.128 3.583 14.441
O -1.753 5.092 2.984
O -1.871 5.314 0.420
O -1.658 5.085 16.836
O -1.608 5.068 9.410
O -0.727 3.573 5.466
O -0.945 3.904 20.754
O 0.630 1.363 1.859
O -0.645 3.580 11.921
O -2.907 7.539 13.071
O 0.804 1.200 9.211
O -2.818 7.689 20.405
O -2.693 7.582 6.865
O 0.810 1.596 18.100
O 1.737 0.267 4.358
O 1.106 1.474 15.532
O 0.796 3.460 0.559
O -1.024 6.554 11.813
O -0.929 6.563 5.458
O 0.715 3.659 16.793
O 1.033 3.503 3.155
O -0.855 6.768 14.357
O 0.882 3.918 9.354
O -0.551 6.650 20.775
O 2.561 2.347 10.756
O 3.237 1.122 21.814
O 3.544 1.232 5.692
O 2.874 2.585 1.773
O 2.939 2.386 16.926
O 3.758 1.023 13.017
O 3.866 0.828 19.360
O 2.789 2.788 8.072
O 1.556 4.945 20.776
O 0.656 6.609 9.347
O 1.720 4.912 14.185
O 1.610 5.245 5.532
O 0.836 6.540 16.802
O 0.963 6.774 3.145
O 1.065 6.633 0.552
O 1.879 5.307 11.656
O 3.245 3.851 19.383
O 5.316 0.828 7.940
O 5.266 1.022 1.816
O 3.585 3.883 12.981
O 3.905 3.906 5.656
O 5.393 1.268 16.930
O 5.621 1.042 10.493
O 3.783 4.166 21.852
O 2.458 7.644 18.307
O 3.469 6.314 6.951
O 3.576 6.392 13.119
O 2.972 7.571 1.806
O 2.875 7.741 9.196
O 3.734 6.186 20.458
O 7.235 0.182 15.788
O 6.119 2.201 5.704
O 6.152 2.081 21.769
O 5.128 3.909 16.856
O 3.896 6.159 4.285
O 5.406 3.986 1.754
O 6.146 2.721 12.944
O 5.291 4.258 10.654
O 5.629 3.930 8.124
O 6.271 2.877 19.217
O 7.888 1.278 4.302
O 5.131 6.209 9.205
O 5.327 6.017 15.557
```
-- stop --

Response.
The following is a DFT calculation (PBE-GGA) of a relaxed structure of Na5In2SiSn2P5O24.